### Listing
/*
{
  "formula": "K2YCuI6",
  "functional": "PBE",
  "state": "relaxed",
  "cell": [[0.0000, 5.8942, 5.8942], [5.8942, 0.0000, 5.8942], [5.8942, 5.8942, 0.0000]],
  "species": ["K", "K", "Y", "Cu", "I", "I", "I", "I", "I", "I"],
  "fractional_positions": [[0.2500, 0.2500, 0.2500], [0.7500, 0.7500, 0.7500], [0.0000, 0.0000, 0.0000], [0.5000, 0.5000, 0.5000], [0.2564, 0.2564, 0.7436], [0.2564, 0.7436, 0.2564], [0.2564, 0.7436, 0.7436], [0.7436, 0.2564, 0.2564], [0.7436, 0.2564, 0.7436], [0.7436, 0.7436, 0.2564]],
  "formation_enthalpy_0k_mev_per_atom": -1314,
  "total_energy_ev_per_cell": -32.80,
  "sg": "Fm-3m, No. 225"
}

{
  "formula": "HoMnGe",
  "functional": "PBE",
  "state": "relaxed",
  "cell": [[7.0427, 0.0000, 0.0000], [0.0000, 4.0948, 0.0000], [0.0000, 0.0000, 7.8982]],
  "species": ["Ho", "Ho", "Ho", "Ho", "Mn", "Mn", "Mn", "Mn", "Ge", "Ge", "Ge", "Ge"],
  "fractional_positions": [[0.0228, 0.2500, 0.1832], [0.4772, 0.7500, 0.6832], [0.5228, 0.2500, 0.3168], [0.9772, 0.7500, 0.8168], [0.1332, 0.2500, 0.5560], [0.3668, 0.7500, 0.0560], [0.6332, 0.2500, 0.9440], [0.8668, 0.7500, 0.4440], [0.2252, 0.7500, 0.3830], [0.2748, 0.2500, 0.8830], [0.7252, 0.7500, 0.1170], [0.7748, 0.2500, 0.6170]],
  "formation_enthalpy_0k_mev_per_atom": -496,
  "total_energy_ev_per_cell": -79.42,
  "sg": "Pnma, No. 62"
}

{
  "formula": "CaCuSiH2O5",
  "functional": "PBE",
  "state": "relaxed",
  "cell": [[5.0873, 0.0000, 0.0000], [0.0000, 16.3015, 0.0000], [-1.2063, 0.0000, 5.2599]],
  "species": ["Ca", "Ca", "Ca", "Ca", "Cu", "Cu", "Cu", "Cu", "Si", "Si", "Si", "Si", "H", "H", "H", "H", "H", "H", "H", "H", "O", "O", "O", "O", "O", "O", "O", "O", "O", "O", "O", "O", "O", "O", "O", "O", "O", "O", "O", "O"],
  "fractional_positions": [[0.1517, 0.1765, 0.3439], [0.1517, 0.3235, 0.8439], [0.8483, 0.6765, 0.1561], [0.8483, 0.8235, 0.6561], [0.0000, 0.0000, 0.0000], [0.0000, 0.5000, 0.5000], [0.5000, 0.0000, 0.5000], [0.5000, 0.5000, 0.0000], [0.4811, 0.1102, 0.9688], [0.4811, 0.3898, 0.4688], [0.5189, 0.6102, 0.5312], [0.5189, 0.8898, 0.0312], [0.1640, 0.6723, 0.7479], [0.1640, 0.8277, 0.2479], [0.3302, 0.7442, 0.9260], [0.3302, 0.7558, 0.4260], [0.6698, 0.2442, 0.5740], [0.6698, 0.2558, 0.0740], [0.8360, 0.1723, 0.7521], [0.8360, 0.3277, 0.2521], [0.1498, 0.7123, 0.8821], [0.1498, 0.7877, 0.3821], [0.1866, 0.6028, 0.4647], [0.1866, 0.8972, 0.9647], [0.3422, 0.0541, 0.1681], [0.3422, 0.4459, 0.6681], [0.3473, 0.0857, 0.6715], [0.3473, 0.4143, 0.1715], [0.4005, 0.2048, 0.0242], [0.4005, 0.2952, 0.5242], [0.5995, 0.7048, 0.4758], [0.5995, 0.7952, 0.9758], [0.6527, 0.5857, 0.8285], [0.6527, 0.9143, 0.3285], [0.6578, 0.5541, 0.3319], [0.6578, 0.9459, 0.8319], [0.8134, 0.1028, 0.0353], [0.8134, 0.3972, 0.5353], [0.8502, 0.2123, 0.6179], [0.8502, 0.2877, 0.1179]],
  "formation_enthalpy_0k_mev_per_atom": -2270,
  "total_energy_ev_per_cell": -249.27,
  "sg": "P2_1/c, No. 14"
}

{
  "formula": "Ba4MgRh4O12",
  "functional": "PBE",
  "state": "relaxed",
  "cell": [[5.7724, 0.0000, 0.0000], [-2.8862, 4.9990, 0.0000], [0.0000, 0.0000, 10.8418]],
  "species": ["Ba", "Ba", "Ba", "Ba", "Mg", "Rh", "Rh", "Rh", "Rh", "O", "O", "O", "O", "O", "O", "O", "O", "O", "O", "O", "O"],
  "fractional_positions": [[0.0000, 0.0000, 0.0000], [0.0000, 0.0000, 0.4195], [0.3333, 0.6667, 0.7936], [0.6667, 0.3333, 0.1953], [0.3333, 0.6667, 0.5436], [0.3333, 0.6667, 0.0700], [0.3333, 0.6667, 0.3207], [0.6667, 0.3333, 0.5761], [0.6667, 0.3333, 0.8378], [0.0033, 0.5016, 0.4543], [0.1815, 0.3631, 0.1984], [0.1815, 0.8185, 0.1984], [0.3766, 0.1883, 0.7078], [0.4984, 0.5016, 0.4543], [0.4984, 0.9967, 0.4543], [0.5073, 0.0146, 0.9689], [0.5073, 0.4927, 0.9689], [0.6369, 0.8185, 0.1984], [0.8117, 0.1883, 0.7078], [0.8117, 0.6234, 0.7078], [0.9854, 0.4927, 0.9689]],
  "formation_enthalpy_0k_mev_per_atom": -1887,
  "total_energy_ev_per_cell": -129.48,
  "relative_energy_mev_per_atom": 132,
  "sg": "P3m1, No. 156"
}

{
  "formula": "Na3InF6",
  "functional": "PBE",
  "state": "relaxed",
*/

### Exercise
Find "0.2500, 0.8830]," and "0.4543], [0.5073," in the data further up, and repeat these two lines and those between.

### Done
  "fractional_positions": [[0.0228, 0.2500, 0.1832], [0.4772, 0.7500, 0.6832], [0.5228, 0.2500, 0.3168], [0.9772, 0.7500, 0.8168], [0.1332, 0.2500, 0.5560], [0.3668, 0.7500, 0.0560], [0.6332, 0.2500, 0.9440], [0.8668, 0.7500, 0.4440], [0.2252, 0.7500, 0.3830], [0.2748, 0.2500, 0.8830], [0.7252, 0.7500, 0.1170], [0.7748, 0.2500, 0.6170]],
  "formation_enthalpy_0k_mev_per_atom": -496,
  "total_energy_ev_per_cell": -79.42,
  "sg": "Pnma, No. 62"
}

{
  "formula": "CaCuSiH2O5",
  "functional": "PBE",
  "state": "relaxed",
  "cell": [[5.0873, 0.0000, 0.0000], [0.0000, 16.3015, 0.0000], [-1.2063, 0.0000, 5.2599]],
  "species": ["Ca", "Ca", "Ca", "Ca", "Cu", "Cu", "Cu", "Cu", "Si", "Si", "Si", "Si", "H", "H", "H", "H", "H", "H", "H", "H", "O", "O", "O", "O", "O", "O", "O", "O", "O", "O", "O", "O", "O", "O", "O", "O", "O", "O", "O", "O"],
  "fractional_positions": [[0.1517, 0.1765, 0.3439], [0.1517, 0.3235, 0.8439], [0.8483, 0.6765, 0.1561], [0.8483, 0.8235, 0.6561], [0.0000, 0.0000, 0.0000], [0.0000, 0.5000, 0.5000], [0.5000, 0.0000, 0.5000], [0.5000, 0.5000, 0.0000], [0.4811, 0.1102, 0.9688], [0.4811, 0.3898, 0.4688], [0.5189, 0.6102, 0.5312], [0.5189, 0.8898, 0.0312], [0.1640, 0.6723, 0.7479], [0.1640, 0.8277, 0.2479], [0.3302, 0.7442, 0.9260], [0.3302, 0.7558, 0.4260], [0.6698, 0.2442, 0.5740], [0.6698, 0.2558, 0.0740], [0.8360, 0.1723, 0.7521], [0.8360, 0.3277, 0.2521], [0.1498, 0.7123, 0.8821], [0.1498, 0.7877, 0.3821], [0.1866, 0.6028, 0.4647], [0.1866, 0.8972, 0.9647], [0.3422, 0.0541, 0.1681], [0.3422, 0.4459, 0.6681], [0.3473, 0.0857, 0.6715], [0.3473, 0.4143, 0.1715], [0.4005, 0.2048, 0.0242], [0.4005, 0.2952, 0.5242], [0.5995, 0.7048, 0.4758], [0.5995, 0.7952, 0.9758], [0.6527, 0.5857, 0.8285], [0.6527, 0.9143, 0.3285], [0.6578, 0.5541, 0.3319], [0.6578, 0.9459, 0.8319], [0.8134, 0.1028, 0.0353], [0.8134, 0.3972, 0.5353], [0.8502, 0.2123, 0.6179], [0.8502, 0.2877, 0.1179]],
  "formation_enthalpy_0k_mev_per_atom": -2270,
  "total_energy_ev_per_cell": -249.27,
  "sg": "P2_1/c, No. 14"
}

{
  "formula": "Ba4MgRh4O12",
  "functional": "PBE",
  "state": "relaxed",
  "cell": [[5.7724, 0.0000, 0.0000], [-2.8862, 4.9990, 0.0000], [0.0000, 0.0000, 10.8418]],
  "species": ["Ba", "Ba", "Ba", "Ba", "Mg", "Rh", "Rh", "Rh", "Rh", "O", "O", "O", "O", "O", "O", "O", "O", "O", "O", "O", "O"],
  "fractional_positions": [[0.0000, 0.0000, 0.0000], [0.0000, 0.0000, 0.4195], [0.3333, 0.6667, 0.7936], [0.6667, 0.3333, 0.1953], [0.3333, 0.6667, 0.5436], [0.3333, 0.6667, 0.0700], [0.3333, 0.6667, 0.3207], [0.6667, 0.3333, 0.5761], [0.6667, 0.3333, 0.8378], [0.0033, 0.5016, 0.4543], [0.1815, 0.3631, 0.1984], [0.1815, 0.8185, 0.1984], [0.3766, 0.1883, 0.7078], [0.4984, 0.5016, 0.4543], [0.4984, 0.9967, 0.4543], [0.5073, 0.0146, 0.9689], [0.5073, 0.4927, 0.9689], [0.6369, 0.8185, 0.1984], [0.8117, 0.1883, 0.7078], [0.8117, 0.6234, 0.7078], [0.9854, 0.4927, 0.9689]],